Obsession Racing Press Release 2014 #3

MENIFEE, CA – The month of March started off in El Paso Texas for Monster Jam. This show consisted of 2 shows, one on Saturday night and the other on Sunday afternoon. We were for the first time glad to leave California’s stormy rainy weather to be in sunny El Paso. The winds were high but at least it was dry. This weekend was not to be their weekend for racing, but for freestyle Eric did phenomenal to make up for it! I think he got some pointers from Todd Leduc!

On Saturday the 15th was a very busy day for Rick and Eric. They had their trucks at two different locations. They dropped off the Obsession truck in Victorville on Friday night and then Rick headed over to San Dimas with the Obsessed truck for a display for Jiffy Lube that started at 8am until 2pm. The display went well and Rick de-tired Obsessed and headed back to Victorville to catch the evening show of Eric performing in Obsession for the second time. Both shows in Victorville for Outlaw Monster Trucks were freestyle only and Eric did a great job in Dad’s Obsession taking the wins!

Finishing off the month was down in Mexicali Mexico for Monster Truck Showdown. This show was Saturday night only. Rick did an awesome job bringing home the win in racing. Eric caught some huge air off of the big jump in freestyle and put on a great show for our Mexico fans!!

Our Auction Hunters episode aired also in March. They will be playing reruns on Spike TV so keep your eyes open for it!!

Obsession Racing Press Release 2013 #9

MENIFEE, CA – The beginning of September was a busy month for Obsession Racing. It started out in Sublimity Oregon for the Sublimity Harvest Festival. Eric and I flew up to Oregon on Wednesday evening to do the show for the sponsor night on Thursday. Justin Cluster was going to take over for Rick in Wrong Way Rick for the Thursday’s sponsor night. Rick did a commercial on Thursday for Straight Talk Singular in Dan Radoni’s Patriot Truck since we had our trucks in Oregon for the Harvest Fest. The Thursday night show was cancelled due to rain and thunderstorms. Rick’s commercial went smoothly and we looking forward to see it when it airs! We will keep you posted on when it airs on television because you might not recognize it with an all red body and wing graphics on the sides. Friday morning Rick flew up for the rest of the Harvest Festival’s event. Friday, Saturday and Sunday’s show are freestyle only shows. This event is held for a fund raiser for the community. This was Eric’s first show with this promoter and they were really pleased with his performance and ability to handle his truck. As usual the Sublimity fans loved Wrong Way Rick and his ability to drive the truck in reverse! It had a lot of people fooled and the kids always are amazed!

[Calculated molecules, as found in the file]
********
# 1
DFT (the ωB97M-V functional and the def2-TZVPD basis) results for a 14-piece molecular cluster, C4H35NO15 overall.

XYZ file:
```
55
Properties=species:S:1:pos:R:3:forces:R:3:lowdin_spin:R:1
O 2.4342 2.6344 -0.9905 1.536 -1.210 -1.458 0.02
O 1.4254 2.6761 1.5124 2.722 -0.306 0.814 0.00
O -2.3921 -2.0198 -1.1770 0.835 -2.288 -3.669 0.00
H -1.8290 -0.4165 2.6454 -0.338 -0.825 -0.085 0.00
N 0.3148 -1.0520 -0.1372 2.586 2.034 -2.091 0.62
O 4.1514 1.6716 2.0960 -1.246 -0.967 1.282 0.00
O -4.0336 0.6661 1.4614 1.796 -0.983 1.384 0.00
H -0.6419 -2.5205 -3.5041 0.723 -0.109 0.384 0.00
H 1.7002 -2.7329 0.0621 -0.627 0.561 1.281 0.01
H 1.8339 3.2130 -1.4268 -0.799 0.971 -0.262 0.00
H -0.8171 3.4237 0.4044 0.424 -0.067 0.041 0.00
O 2.0021 -1.8800 -1.6143 0.800 2.005 0.243 0.10
H 0.0783 0.4880 3.5192 1.403 -0.084 0.086 0.00
H 4.2045 0.7608 2.4259 -0.693 0.261 0.832 0.00
H 0.6145 0.5076 -3.0056 0.613 -0.026 -0.593 0.00
H 1.5046 -2.4284 -2.2332 -1.265 -0.695 0.122 0.00
H -2.4502 -1.4207 -0.5165 -0.905 2.816 3.688 0.00
O -2.5429 -1.8279 1.7640 0.209 0.754 -1.596 0.00
C -0.8825 1.1509 -0.1886 0.810 -0.348 1.418 0.00
H 2.2825 -0.2740 -2.2580 0.576 -1.386 1.116 0.00
O -1.8697 0.3978 3.1492 -0.033 1.506 -0.744 0.00
H -0.2144 1.6890 -3.4673 -0.104 -1.637 -0.371 0.00
H 2.3750 2.4335 1.8508 -1.811 0.758 -0.633 0.00
O 2.2953 0.5324 -2.7272 -0.525 0.763 -2.111 0.00
H -2.5589 -1.5024 -1.9981 0.007 -0.627 0.030 0.00
H 4.7994 1.5376 1.4494 1.775 0.780 -2.136 0.00
H 2.4692 1.3103 -2.2154 0.557 0.536 1.058 0.00
H -2.8247 -2.4769 2.4141 0.428 -0.357 -0.131 0.00
H 2.3222 2.7024 -0.0628 -0.508 0.495 1.417 0.00
H 1.0433 0.3798 4.6123 0.495 0.113 3.240 0.00
H 0.7268 0.4479 1.1973 0.201 -0.164 -0.711 0.03
H -0.7772 -3.0440 -2.1359 0.027 -0.296 0.170 0.00
C -0.5712 2.6908 -0.3757 -1.506 -1.794 -1.826 0.00
H 0.2755 -2.7088 2.1926 2.632 -0.766 -1.248 0.00
H -0.2671 -1.3071 -0.9523 -0.821 -0.292 0.445 0.02
H -1.6177 -2.0561 1.4392 -2.111 -0.289 1.262 0.00
O -0.1532 0.6913 -3.5834 -0.400 2.321 0.695 0.00
H 1.2895 0.9144 -0.4385 0.094 -0.884 -0.127 0.04
H -1.7230 -0.9463 -4.5183 -0.170 -0.270 -1.273 0.00
H -0.3094 -1.8879 3.2449 0.175 0.749 0.945 0.00
H 0.9349 2.0370 2.0175 -0.556 -0.120 0.720 0.00
C 0.4776 0.3830 0.1113 -2.849 0.339 1.133 0.10
H -4.8582 0.6161 0.9991 -0.707 -0.458 -0.117 0.00
H -1.4461 -0.1333 -3.3292 -1.072 -1.392 -0.692 0.00
H -1.1831 0.7812 -1.2326 -0.233 0.625 1.753 0.00
O -0.4975 -2.6214 2.6770 -1.034 -0.495 0.870 0.01
H 2.4909 -1.0144 0.1151 -1.991 -1.234 -0.022 0.01
C 1.6177 -1.6863 -0.2709 2.911 -1.716 -0.516 0.03
O -0.0783 -2.9145 -2.7962 -0.974 0.244 -0.434 0.00
H -2.4546 0.9407 2.5468 0.669 -0.291 1.244 0.00
O -0.3018 2.9792 -1.5245 0.282 0.724 1.080 0.00
H -3.8018 -0.1783 1.9679 -1.262 1.325 -1.516 0.00
H -1.5662 0.9485 0.7458 0.796 0.347 -2.405 0.00
O 1.0704 0.3582 3.6991 -2.344 0.002 -3.482 0.00
O -2.0708 -0.9132 -3.6399 0.805 1.348 1.497 0.00
```
Positions in Å, forces in eV/Å.

## Properties
HOMO-LUMO gap (spin up / spin down), eV: 10.81 / 5.37
********
[The calculated molecules stop here]

After bringing our trucks back home, Rick had to return Dan’s truck back to his shop in Santa Cruz California before our show in Pomona. We were really grateful to Radoni Racing for letting us use their truck for the commercial. We felt honored to be trusted with Radoni Racing’s equipment and trucks. You don’t just let anybody use over $250,000 worth of your equipment. We couldn’t thank them enough!

On Friday September 27th was a one night show in Pomona for WGAS Motorsports. Eric drove his truck Obsessed and Rick drove Wrong Way Rick. This show consists of racing and freestyle. Rick and Eric did a good job in racing. Eric was unable to put on a freestlye show because his truck was having an oil pressure issue. Rick on the other hand put on a great freestyle run and was the first truck to barricade through the R.V.!!

Our next show will be held in Red Bluff California for the West Coast Nationals with both Obsessed and Wrong Way Rick.

Obsession Racing Press Release 2013 #8

MENIFEE, CA – In the month of August we had three shows, a display and a television commercial. The first event was in Salinas California for the Salinas Rodeo Foundation. This show started off with four days of displays to promote the show that was held on Sunday August 11th. For the first time this venue had an over under course for racing. It was a driver oriented track. We were fortunate that Rick and Eric had done this sort of course before for the Robbie Gordon Series. In racing Rick took Wrong Way Rick all the way to the Semifinals. Eric did a phenomenal job in freestyle and placed second to Dan Rodoni in the Patriot truck.

From Salinas Rick and Justin Cluster headed to Washington for a one night show for WHR Motorsports in Lyndon. Eric and I headed home after Salinas because Eric had to attend his first day of High School as a senior. This show had only Wrong Way Rick booked for this event. It was racing and freestyle and Rick took home the win in racing and pleased the crowd in freestyle!

After the Lyndon show, Rick and Justin headed to Kent Washington for an E.B. Bradley display/open house. The display was a huge success and the vendors and customers are already to have us for next year’s open house.

Our final show in August was held in Monroe Washington for Evergreen Speedway. This show Justin Cluster drove Eric’s truck Obsessed for him, and Rick drove Wrong Way Rick. This show was on held on Thursday and Friday night with racing and freestyle. Rick took first place in racing both nights once again!! The trucks had a good solid run for freestyle and Justin caught the highest air in freestyle over the van stack on Friday night! We want to give a special thanks to Justin Cluster for all of his help in crewing and driving!!